## Source
AcCd17Hg: simulated powder diffraction line list (Cu Kα), based on a PBE-relaxed structure.
Intensities are scaled so that the largest is 100.

Top 8 peaks for 2θ = 10–80°, by angle:
(hkl)  2θ (°)  I/Imax
3 0 0  30.1  58
0 2 4  30.9  47
2 2 0  34.9  90
0 3 3  35.0  99
2 0 5  35.7  36
2 2 3  39.3  100
1 1 6  39.6  36
6 0 0  62.6  35

Atomic structure:
```
data_AcCd17Hg
_chemical_formula_sum 'Ac3 Cd51 Hg3'
_symmetry_space_group_name_H-M 'R 3 m'
_symmetry_Int_Tables_number 160
_symmetry_space_group_name_Hall 'R 3 -2"'
_cell_length_a 10.2820
_cell_length_b 10.2820
_cell_length_c 15.2276
_cell_angle_alpha 90.00
_cell_angle_beta 90.00
_cell_angle_gamma 120.00
loop_
_atom_site_label
_atom_site_type_symbol
_atom_site_fract_x
_atom_site_fract_y
_atom_site_fract_z
Ac1 Ac 0.0000 0.0000 0.0000
Cd1 Cd 0.0000 0.0000 0.5625
Cd2 Cd 0.0000 0.0000 0.7608
Cd3 Cd 0.0354 0.3617 0.3345
Cd4 Cd 0.1683 0.3366 0.8507
Cd5 Cd 0.1691 0.3381 0.1451
Cd6 Cd 0.1697 0.3393 0.5048
Hg1 Hg 0.0000 0.0000 0.2304
```



Sr3Sc: simulated powder diffraction line list (Cu Kα), based on a PBE-relaxed structure.
Intensities are scaled so that the largest is 100.

Top 8 peaks for 2θ = 10–80°, by angle:
(hkl)  2θ (°)  I/Imax
2 0 0  25.7  23
0 0 2  27.8  26
2 0 1  29.3  100
2 0 2  38.2  16
2 2 0  45.3  19
2 0 3  50.1  22
2 2 2  54.0  23
4 0 1  54.9  16

Atomic structure:
```
data_Sr3Sc
_chemical_formula_sum 'Sr6 Sc2'
_symmetry_space_group_name_H-M 'P 63/m m c'
_symmetry_Int_Tables_number 194
_symmetry_space_group_name_Hall '-P 6c 2c'
_cell_length_a 8.0083
_cell_length_b 8.0083
_cell_length_c 6.4116
_cell_angle_alpha 90.00
_cell_angle_beta 90.00
_cell_angle_gamma 120.00
loop_
_atom_site_label
_atom_site_type_symbol
_atom_site_fract_x
_atom_site_fract_y
_atom_site_fract_z
Sr1 Sr 0.1725 0.3451 0.2500
Sc1 Sc 0.3333 0.6667 0.7500
```



Tb3HoMg3: simulated powder diffraction line list (Cu Kα), based on a PBE-relaxed structure.
Intensities are scaled so that the largest is 100.

Top 8 peaks for 2θ = 10–80°, by angle:
(hkl)  2θ (°)  I/Imax
2 0 0  16.6  19
2 2 0  23.0  24
3 1 0  26.3  20
1 1 2  28.2  19
0 4 0  32.0  29
4 0 0  33.6  17
2 2 -2  34.8  100
2 6 -2  58.8  17

Atomic structure:
```
data_Tb3HoMg3
_chemical_formula_sum 'Tb12 Ho4 Mg12'
_symmetry_space_group_name_H-M 'C 1 2/m 1'

## Brief
Your job: write out the calculation results further above from the first line to the one with "27.8" character by character.

## Here it is
AcCd17Hg: simulated powder diffraction line list (Cu Kα), based on a PBE-relaxed structure.
Intensities are scaled so that the largest is 100.

Top 8 peaks for 2θ = 10–80°, by angle:
(hkl)  2θ (°)  I/Imax
3 0 0  30.1  58
0 2 4  30.9  47
2 2 0  34.9  90
0 3 3  35.0  99
2 0 5  35.7  36
2 2 3  39.3  100
1 1 6  39.6  36
6 0 0  62.6  35

Atomic structure:
```
data_AcCd17Hg
_chemical_formula_sum 'Ac3 Cd51 Hg3'
_symmetry_space_group_name_H-M 'R 3 m'
_symmetry_Int_Tables_number 160
_symmetry_space_group_name_Hall 'R 3 -2"'
_cell_length_a 10.2820
_cell_length_b 10.2820
_cell_length_c 15.2276
_cell_angle_alpha 90.00
_cell_angle_beta 90.00
_cell_angle_gamma 120.00
loop_
_atom_site_label
_atom_site_type_symbol
_atom_site_fract_x
_atom_site_fract_y
_atom_site_fract_z
Ac1 Ac 0.0000 0.0000 0.0000
Cd1 Cd 0.0000 0.0000 0.5625
Cd2 Cd 0.0000 0.0000 0.7608
Cd3 Cd 0.0354 0.3617 0.3345
Cd4 Cd 0.1683 0.3366 0.8507
Cd5 Cd 0.1691 0.3381 0.1451
Cd6 Cd 0.1697 0.3393 0.5048
Hg1 Hg 0.0000 0.0000 0.2304
```



Sr3Sc: simulated powder diffraction line list (Cu Kα), based on a PBE-relaxed structure.
Intensities are scaled so that the largest is 100.

Top 8 peaks for 2θ = 10–80°, by angle:
(hkl)  2θ (°)  I/Imax
2 0 0  25.7  23
0 0 2  27.8  26